You must make it up to me!

As usual, Li Bingbing was playing her game the whole time. And she won a couple of matches without noticing what time it was.

After winning another game, she gathered her rewards. Although, while she was doing so, the game disappeared and Kozu's cat-like face appeared on the screen.

"You have a visitor. He'll be ringing the doorbell within ten seconds." He notified as he looked at her with a blank look.

"... 'He'?" Li Bingbing was confused.

While she was thinking who it could be, she heard the doorbell rang.

"Scan him and tell me his name." Li Bingbing said as she stood up from her seat. There was no way someone would visit her at this time of the night.

It could be her neighbor or a stranger, maybe a murderer? There were so many possibilities on who her visitor could be.

Li Bingbing wasn't scared even if someone tried to sneak into her house since her place was well guarded. She took a pepper spray bottle and kept it in her pocket before she went out of her room.

"His name is Lu Xian Yu. He is the brother of your best friend's husband, Lu Yifeng. Lu Xian Yu is taller than his brother by an inch, his height is 6'2. He has slept with countless of girls since high school. He works as an assassin and he killed 125 people this year..." Kozu trailed off.

"Woah... is he here to kill you?" Kozu asked. "Should I wake up Kuro and Seb?"

"..." He actually came to her place?! How did he learn her address? Did Xia Meilin sell her out? No... that can't be possible... she knew Xia Meilinwell, her lips are well sealed. But who could have given her address to Lu Xian Yu?

Other than Xia Meilin, the only person who accompanied her was her bodyguard! That d*mn old man! How dare he?!

She was brought back from her thoughts by another sound of the doorbell.

"Bing, should I call for the police?" Kozu asked worriedly.

"No need, I know him. He won't do anything since I am his sister-in-law's best friend." She stretched out her arms and bent her waist as if she was warming up for something.

"You should change into something appropriate." He reminded.

Li Bingbing took her glasses off and placed it on top of the shoe rack. "Why should I? This won't take long."

== Misplaced materials data ==
-- begin --
Density functional theory data (PBE) for MnGaNi2Rh after structural relaxation.

The space group is P4/mmm (No. 123) and the conventional cell measures 4.2402, 4.2402 and 4.5628 Å, with angles of 90.00, 90.00 and 90.00 degrees. The distinct sites, in fractional coordinates, are Mn at (0.0000, 0.0000, 0.0000), Ga at (0.0000, 0.0000, 0.5000), Ni at (0.0000, 0.5000, 0.5000) and Rh at (0.5000, 0.5000, 0.0000).

For the density of states at the Fermi level, the calculation gives 0.816 states/eV/atom. The calculation puts the density at 6.98 g/cm3. The energy of formation from the pure elements is 0.886 eV per atom.



Density functional theory data (PBE) for BaNa2Y after structural relaxation.

The space group is I-42d (No. 122) and the conventional cell measures 9.5381, 9.5381 and 7.3309 Å, with angles of 90.00, 90.00 and 90.00 degrees. The distinct sites, in fractional coordinates, are Ba at (0.0000, 0.0000, 0.0000), Na at (0.2365, 0.2500, 0.6250) and Y at (0.0000, 0.0000, 0.5000).

For the density of states at the Fermi level, the calculation gives 1.364 states/eV/atom. The calculation puts the density at 2.71 g/cm3. The energy of formation from the pure elements is 0.465 eV per atom.



Density functional theory data (PBE) for Ac2Al3Ru after structural relaxation.

The space group is R-3m (No. 166, hexagonal axes) and the conventional cell measures 5.7711, 5.7711 and 14.1076 Å, with angles of 90.00, 90.00 and 120.00 degrees. The distinct sites, in fractional coordinates, are Ac at (0.0000, 0.0000, 0.1264), Al at (0.0000, 0.5000, 0.0000) and Ru at (0.0000, 0.0000, 0.5000).

For the density of states at the Fermi level, the calculation gives 0.805 states/eV/atom. The calculation puts the density at 7.79 g/cm3. The energy of formation from the pure elements is -0.320 eV per atom.



Density functional theory data (PBE) for NaSc3Re after structural relaxation.

The space group is Pm-3m (No. 221) and the conventional cell measures 5.1574, 5.1574 and 5.1574 Å, with angles of 90.00, 90.00 and 90.00 degrees. The distinct sites, in fractional coordinates, are Na at (0.0000, 0.0000, 0.0000), Sc at (0.0000, 0.5000, 0.5000) and Re at (0.5000, 0.5000, 0.5000).

For the density of states at the Fermi level, the calculation gives 1.013 states/eV/atom. The calculation puts the density at 4.16 g/cm3. The energy of formation from the pure elements is 0.263 eV per atom.

=====

1.
## HoNpC2 (GGA-PBE)

Data for crystalline HoNpC2 at its relaxed geometry.

a b c (Å): 3.547 3.547 6.058
angles (deg): 72.98 72.98 60.00
Last column: magnetic moment on the atom in μB.
Element x y z (fractional)
Np: 0.000 0.000 0.000  2.05
Ho: 0.500 0.500 0.500  0.04
C: 0.739 0.739 0.783  -0.11
C: 0.261 0.261 0.217  -0.11

Computed properties:
crystal system = trigonal
Fermi-level density of states = 5.46 states/eV/cell
E = -9.075 eV/atom
magnetization = 1.91 μB/f.u.

2.
## Ho2NpTc2C4 (GGA-PBE)

Data for crystalline Ho2NpTc2C4 at its relaxed geometry.

a b c (Å): 3.390 6.688 6.078
-- stop --

"..." Should he call Sei? She would only listen to Sei.

Without further ado, she opened the door and gave her best smile towards the tall and handsome-looking man that was standing outside.

She was pleased by his handsome features. She never expected that he'll look different from the photos she saw but it was a turnoff that the man standing before her was a playboy. "Hi, babe~"

This was the same voice that Lu Xian Yu heard from the call they shared earlier. The dark expression he had on his face disappeared and was replaced by a surprised look.

The girl's honey-sweet voice was like a music to his ears. Standing in front of him was the most beautiful girl he had ever seen. She wore the same attire when Xia Meilin visited her; bra and shorts.

The girl was stunningly gorgeous, like a painting of a goddess brought to life. She smiled sweetly at him, her eyes sparkling like stars flaunted on the night sky.

He has seen girls prettier than her but, he never saw eyes like hers. Staring unto them made him drown.

She walked towards him and wrapped her arms around his neck. She pulled him down to her level and caught his lips, giving him a soft kiss.

She acted like he wasn't a stranger to her and as if this wasn't their first time meeting.

Lu Xian Yu was snapped back to reality when she pulled away from him. Her lips were really soft... he wanted to feel them more.

"I'm so sorry if I wasn't able to go earlier, you see, I took care of something important. My boss gave me a sudden report to finish that... I wasn't able to realize the time." She was stroking his chest with a finger while looking pitifully at him.

Lu Xian Yu couldn't help but gulp at this, he was being turned on by how seductive she looked like right now.

His eyes darkened as he let out a smirk. He placed his hand on her waist, "Don't worry, I don't really mind it. That's why I decided to come and pay you a visit instead, honey."

A smile that started in her eyes, lighted up her face and this made her looked so angelic! "I'm so happy~ I was really worried that you'll get mad at me for not arriving, but now you're here, I can't help but be relieved."

"Ahh... You must make it up to me, you know. I waited for hours." He pouted, caressing her bare waist. "How about you invite me in your place? After all, you're included on my list of things to do tonight."